### Assignment
Could you start at the top of the lines underneath and reproduce each line, ending with the one that has "Cl2FMg"?
### Excerpt
........
Record 1
Molecular formula: C5H6N
Method: DFT, ωB97M-V/def2-TZVPD

Positions of all 12 atoms, in Å:
C: 1.94 0.15 -0.06
C: 0.82 0.91 0.07
C: 2.03 -1.07 -0.09
C: -0.35 1.76 -0.07
C: -1.16 -0.85 0.04
N: -0.30 0.24 -0.07
H: 2.64 -2.02 0.14
H: -0.92 2.08 0.82
H: -0.61 2.28 -0.92
H: -1.87 -0.95 -0.86
H: -1.81 -0.93 0.89
H: -0.41 -1.61 0.12

Computed properties:
Spin multiplicity: 1
Energy relative to the best compared isomer or geometry (same formula, charge and spin) in kcal per mole: 149.86
Gap between HOMO and LUMO (spin up / spin down) in eV: 9.375 / 9.375
Charge: +1
HOMO energy (spin up / spin down) in eV: -15.29 / -15.29
SMILES: C#CC1=[N+](C)C1


Record 2
Molecular formula: Cl2FMg
Method: DFT, ωB97M-V/def2-TZVPD

Positions of all 4 atoms, in Å:
Mg: -2.18 30.97 13.54
F: -2.65 32.77 13.55
Cl: -2.97 29.71 15.26
Cl: -1.83 29.88 11.43

Computed properties:
Spin multiplicity: 1
Energy relative to the best compared isomer or geometry (same formula, charge and spin) in kcal per mole: 2.28
Gap between HOMO and LUMO in eV: 9.611
Charge: -1
HOMO energy in eV: -6.15


Record 3
Molecular formula: C5H11NO3
Method: DFT, ωB97M-V/def2-TZVPD

Positions of all 20 atoms, in Å:
C: 1.05 -0.34 -0.03
C: 1.37 -1.92 -0.15
C: -2.38 0.90 0.78
N: -0.37 -0.23 -0.12
C: -1.02 1.04 0.17
C: -0.48 2.22 -0.12
O: 1.58 0.11 1.16
O: 1.67 0.32 -1.08
O: 0.90 -2.33 -1.41
H: 1.59 1.08 1.13
H: 1.40 -0.13 -1.90
H: 0.98 -3.28 -1.51
H: -0.87 -1.01 0.28
H: 2.45 -2.01 -0.07
H: 0.90 -2.45 0.68
H: -2.87 1.86 0.86
H: -2.31 0.46 1.78
H: -3.00 0.24 0.17
H: 0.49 2.34 -0.57
........
### Reply
Record 1
Molecular formula: C5H6N
Method: DFT, ωB97M-V/def2-TZVPD

Positions of all 12 atoms, in Å:
C: 1.94 0.15 -0.06
C: 0.82 0.91 0.07
C: 2.03 -1.07 -0.09
C: -0.35 1.76 -0.07
C: -1.16 -0.85 0.04
N: -0.30 0.24 -0.07
H: 2.64 -2.02 0.14
H: -0.92 2.08 0.82
H: -0.61 2.28 -0.92
H: -1.87 -0.95 -0.86
H: -1.81 -0.93 0.89
H: -0.41 -1.61 0.12

Computed properties:
Spin multiplicity: 1
Energy relative to the best compared isomer or geometry (same formula, charge and spin) in kcal per mole: 149.86
Gap between HOMO and LUMO (spin up / spin down) in eV: 9.375 / 9.375
Charge: +1
HOMO energy (spin up / spin down) in eV: -15.29 / -15.29
SMILES: C#CC1=[N+](C)C1


Record 2
Molecular formula: Cl2FMg